The leader of Google News gave an insightful talk about the current state of online journalism. Here are my tweets during his keynote. Appreciated his visionary thinking about the state and future of news, especially the extent to which the concept of a “news story” is being redefined and reshaped as the Internet evolves past old media paradigms (page/periodical/book) and new forms of distribution emerge that are a more natural fit for technical and social networks. One caveat: he doesn’t really have to think the same way as some of the other speakers about finding a new business model – Google already has one that works. Also note that he was feeling good about Google+. (You think Facebook has Google+ beat? We used to think that Apple was never going to be a leader.)
(Pardon my typos.)
Phi Beta Iota: Tweets distilled below.
George Lewis introducing Richard Gingas, Google News. Both former NBC. #isoj
Gingras: “Creating the Future of News: Questions to Consider.” #isoj
Google News and Google+: looking at algorithms to “connect the dots. #isoj
There are no longer any barriers to publishing, everyone has a printing press; no gatekeepers. #isoj
The future of journalism can and will be better than its past. – Gingras #isoj
Gingras not saying that everything must change, but a comprehensive rethinking is critical. #isoj
Not the first disruption in media; nor will it be the last. This pace of change will not abate. – Gingras #isoj
Shifts in distribution shape business model for journalism. Golden years triggered by television disruption. #isoj
Open distribution via the Internet eradicated print distribution leverage. – @RichardGingras #isoj
Internet = openness of distribution = print disruption. What does that mean? Marketplace drives product definition. #isoj
Content economy less about demographics, more about context and relevance. @RichardGingras #isoj
We're seeing a tremendously disaggregated open marketplace filled with many niche players. #isoj
Cross-subsidization, important for newspapers, more difficult due to many niche players. #isoj
In market rich with niche players, does an all things to all people “portal” make sense? Or stable of focused brands? #isoj
Audience flows and impact on site design: optimize sites for multiple entry points. Many doors to the same set of rooms. #isoj
“We actually have to fight these battles on the users' terms.” @RichardGingras #isoj
More users funneling from social environments? How to convert to regular users? Rethink product design. #isoj
75% enter through story pages vs 25% via home page. Story page needs more focus. Home page focus is the wrong approach. #isoj
How do changes in audience flows impact site design and trigger rethinking of the definition of a website? #isoj
Some news orgs may no longer have web sites, but floating objects of content that can be consumed in many contexts. #isoj
Capacity is unlimited; we're not in an edition-oriented world anymore. #isoj
We're not about ephemeral streams of articles in editions, that's the old model. Haven't seen enough change here. #isoj
How can we use computational journalism such that we can create living persistent resources. #isoj
Huge value in developing tools to support reporter's efforts. #isoj
Benefit from systems that allow small news orgs to collaborate, work together? #isoj
Culture of innovation: not a luxury, can't be intermittent: must be part of an organization's DNA. #isoj
Thinking innovation is often defeated by bureaucracy. #isoj
Apple: “they think outside the box even when it comes to the box.” #isoj
Quality journalism is more important than every. Printing press in everybody's hands. (He hasn't mentioned curation.) #isoj
We can no longer say “trust us because you should trust us.” Need transparency, depth. Journalist disclose political affiliation? #isoj
Can a journalist build more trust by hiding information about herself? #isoj
=====
Record 1
Calculated XRD peak list
Compound: Hg5Bi2H4
Radiation: a wavelength of 1.5418 Å
Structure: the PBE geometry in Alexandria
Neutral-atom scattering factors, no anomalous dispersion.

```
data_Hg5Bi2H4
_space_group_name_H-M_alt 'P -1'
_space_group_IT_number 2
_space_group_name_Hall '-P 1'
_cell_length_a 4.5132
_cell_length_b 7.5840
_cell_length_c 8.3174
_cell_angle_alpha 72.31
_cell_angle_beta 86.63
_cell_angle_gamma 83.10
loop_
_atom_site_label
_atom_site_type_symbol
_atom_site_fract_x
_atom_site_fract_y
_atom_site_fract_z
Hg1 Hg 0.0000 0.0000 0.0000
Hg2 Hg 0.3295 0.8491 0.5548
Hg3 Hg 0.4368 0.2878 0.0574
Bi1 Bi 0.0464 0.5002 0.6793
H1 H 0.0039 0.0746 0.7876
H2 H 0.4288 0.3870 0.6622
```

Top 8 peaks for 2θ = 10–80°, low angle first:
d/Å, 2θ (°), intensity
4.014, 22.15, 28.2
3.961, 22.45, 29.7
3.479, 25.61, 100.0
3.146, 28.37, 32.9
3.003, 29.75, 40.4
2.962, 30.17, 95.2
2.761, 32.43, 39.9
2.510, 35.78, 34.8


Record 2
Calculated XRD peak list
Compound: CsBaNb2O7
Radiation: a wavelength of 1.5418 Å
Structure: the PBE geometry in Alexandria
Neutral-atom scattering factors, no anomalous dispersion.

```
data_CsBaNb2O7
_space_group_name_H-M_alt 'I -4 m 2'
_space_group_IT_number 119
_space_group_name_Hall 'I -4 -2'
_cell_length_a 4.0174
_cell_length_b 4.0174
_cell_length_c 25.1342
_cell_angle_alpha 90.00
_cell_angle_beta 90.00
_cell_angle_gamma 90.00
loop_
_atom_site_label
_atom_site_type_symbol
_atom_site_fract_x
_atom_site_fract_y
_atom_site_fract_z
Cs1 Cs 0.0000 0.0000 0.0000
Ba1 Ba 0.0000 0.5000 0.7500
Nb1 Nb 0.0000 0.5000 0.1538
O1 O 0.0000 0.0000 0.1682
O2 O 0.0000 0.0000 0.3316
O3 O 0.0000 0.5000 0.0822
O4 O 0.0000 0.5000 0.2500
```

Top 8 peaks for 2θ = 10–80°, low angle first:
d/Å, 2θ (°), intensity
3.967, 22.41, 33.6
3.622, 24.58, 70.3
3.139, 28.44, 100.0
2.771, 32.31, 54.2
2.677, 33.47, 29.9
2.009, 45.14, 38.4
1.882, 48.35, 36.0
1.692, 54.21, 37.8


Record 3
Calculated XRD peak list
Compound: LiNpI4
Radiation: a wavelength of 1.5418 Å
Structure: the PBE geometry in Alexandria
Neutral-atom scattering factors, no anomalous dispersion.

```
data_LiNpI4
_space_group_name_H-M_alt 'P 1 2/m 1'
_space_group_IT_number 10
_space_group_name_Hall '-P 2y'
_cell_length_a 7.5361
_cell_length_b 4.4540
_cell_length_c 7.6139
_cell_angle_alpha 90.00
_cell_angle_beta 93.54
_cell_angle_gamma 90.00
loop_
_atom_site_label
_atom_site_type_symbol
_atom_site_fract_x
_atom_site_fract_y
_atom_site_fract_z
Li1 Li 0.0000 0.0000 0.0000
Np1 Np 0.0000 0.5000 0.5000
I1 I 0.2198 0.5000 0.1734
I2 I 0.2413 0.0000 0.6782
```

Top 8 peaks for 2θ = 10–80°, low angle first:
d/Å, 2θ (°), intensity
7.599, 11.64, 34.8
7.522, 11.77, 65.2
3.476, 25.63, 59.9
3.379, 26.37, 100.0
2.760, 32.44, 26.6
2.647, 33.87, 38.4
2.202, 40.99, 38.6
2.130, 42.43, 34.7


Record 4
Calculated XRD peak list
Compound: PrTe2Pd4
Radiation: a wavelength of 1.5418 Å
Structure: the PBE geometry in Alexandria
Neutral-atom scattering factors, no anomalous dispersion.

```
data_PrTe2Pd4
=====
**So much for the data records:**
The future of journalism HAS TO be better than its past: apply our passion and creativity to that achievement. #isoj
Too many news organizations are still not putting digital first. #isoj
_Crystal structures, as found in the file_
-- begin --
[1]
Starting from DFT lattice parameters and positions (GGA-PBE), the X-ray powder pattern of NaMg3O4 was simulated for CuKα.

Peak list (3 most intense, 2θ = 5–70°, sorted by position)
35.72°, intensity 9.4, hkl 1 1 1; 41.48°, intensity 100.0, hkl 2 0 0; 60.11°, intensity 56.2, hkl 2 2 0

Crystal structure
abc: 4.3538 4.3538 4.3538
angles: 90.00 90.00 90.00
Sites, in units of the cell vectors:
Na  0.0000  0.0000  0.0000
Mg  0.0000  0.5000  0.5000
Mg  0.5000  0.0000  0.5000
Mg  0.5000  0.5000  0.0000
O  0.0000  0.0000  0.5000
O  0.0000  0.5000  0.0000
O  0.5000  0.0000  0.0000
O  0.5000  0.5000  0.5000

=====

[2]
Starting from DFT lattice parameters and positions (GGA-PBE), the X-ray powder pattern of Na3Mg2P5O16 was simulated for CuKα.

Peak list (10 most intense, 2θ = 5–70°, sorted by position)
9.39°, intensity 45.5, hkl 0 0 2; 13.59°, intensity 56.9, hkl 0 1 1; 18.84°, intensity 35.9, hkl 0 0 4; 19.05°, intensity 33.3, hkl 0 1 3; 19.37°, intensity 71.9, hkl 1 0 -2; 21.78°, intensity 65.8, hkl 1 1 1; 25.63°, intensity 36.4, hkl 1 1 3; 28.46°, intensity 61.0, hkl 0 0 6; 31.27°, intensity 100.0, hkl 1 2 -1; 32.38°, intensity 46.3, hkl 1 2 2

Crystal structure
abc: 5.2404 6.9432 18.8409
angles: 90.00 90.23 90.00
Sites, in units of the cell vectors:
Na  0.0000  0.0342  0.2500
Na  0.0000  0.9658  0.7500
Na  0.2477  0.3519  0.4676
Na  0.2477  0.6481  0.9676
Na  0.7523  0.3519  0.0324
Na  0.7523  0.6481  0.5324
Mg  0.2314  0.1779  0.9080
Mg  0.2314  0.8221  0.4080
Mg  0.7686  0.1779  0.5920
Mg  0.7686  0.8221  0.0920
P  0.2578  0.4744  0.6300
P  0.2578  0.5256  0.1300
P  0.2718  0.1223  0.0830
P  0.2718  0.8777  0.5830
P  0.5000  0.2594  0.7500
P  0.5000  0.7406  0.2500
P  0.7282  0.1223  0.4170
P  0.7282  0.8777  0.9170
P  0.7422  0.4744  0.8700
P  0.7422  0.5256  0.3700
O  0.0138  0.4307  0.8907
O  0.0138  0.5693  0.3907
O  0.0961  0.0218  0.6191
O  0.0961  0.9782  0.1191
O  0.1601  0.2171  0.0162
O  0.1601  0.7829  0.5162
O  0.2866  0.2996  0.1437
O  0.2866  0.7004  0.6437
O  0.3078  0.4041  0.7102
O  0.3078  0.5959  0.2102
O  0.3380  0.1489  0.8012
O  0.3380  0.8511  0.3012
O  0.4511  0.0631  0.4257
O  0.4511  0.9369  0.9257
O  0.4634  0.3986  0.5810
O  0.4634  0.6014  0.0810
O  0.5366  0.3986  0.9190
O  0.5366  0.6014  0.4190
O  0.5489  0.0631  0.0743
O  0.5489  0.9369  0.5743
O  0.6620  0.1489  0.6988
O  0.6620  0.8511  0.1988
O  0.6922  0.4041  0.7898
O  0.6922  0.5959  0.2898
O  0.7134  0.2996  0.3563
O  0.7134  0.7004  0.8563
O  0.8399  0.2171  0.4838
O  0.8399  0.7829  0.9838
O  0.9039  0.0218  0.8809
O  0.9039  0.9782  0.3809
O  0.9862  0.4307  0.6093
O  0.9862  0.5693  0.1093

=====

Which formula does entry 1 have?
NaMg3O4
-- stop --
Sharon Strover notes supply side perspective of Gingras talk. How about users and their contributions? #isoj
Gingras: audience is collective term for users – common term at Google is users. #isoj
(Unrelated to this page: calculated crystals)
-- begin --
# Co2Mo4N
Simulated XRD peak list, CuKα. Input: a GGA-PBE-relaxed structure.
No peak broadening, texture or thermal motion is included.

Most intense lines, 2θ from 10° to 80°, in order of falling intensity:
- 2.168 Å, rel. 100
- 2.299 Å, rel. 40
- 1.328 Å, rel. 35
- 1.991 Å, rel. 34
- 2.584 Å, rel. 24
- 1.301 Å, rel. 10

Crystal structure
```
Co2Mo4N
1.0
0.0000 5.6322 5.6322
5.6322 0.0000 5.6322
5.6322 5.6322 0.0000
Co Mo N
8 16 4
Direct
0.1209 0.7930 0.7930
0.2070 0.2070 0.2070
0.2070 0.2070 0.8791
0.2070 0.8791 0.2070
0.7930 0.1209 0.7930
0.7930 0.7930 0.1209
0.7930 0.7930 0.7930
0.8791 0.2070 0.2070
0.0000 0.0000 0.0000
0.0000 0.0000 0.5000
0.0000 0.5000 0.0000
0.1847 0.1847 0.5653
0.1847 0.5653 0.1847
0.1847 0.5653 0.5653
0.4347 0.4347 0.8153
0.4347 0.8153 0.4347
0.4347 0.8153 0.8153
0.5000 0.0000 0.0000
0.5653 0.1847 0.1847
0.5653 0.1847 0.5653
0.5653 0.5653 0.1847
0.8153 0.4347 0.4347
0.8153 0.4347 0.8153
0.8153 0.8153 0.4347
0.0000 0.5000 0.5000
0.5000 0.0000 0.5000
0.5000 0.5000 0.0000
0.5000 0.5000 0.5000
```

# CoMoN3
Simulated XRD peak list, CuKα. Input: a GGA-PBE-relaxed structure.
No peak broadening, texture or thermal motion is included.

Most intense lines, 2θ from 10° to 80°, in order of falling intensity:
- 5.136 Å, rel. 100
- 5.699 Å, rel. 64
- 5.920 Å, rel. 34
- 4.076 Å, rel. 29
- 4.608 Å, rel. 25
- 4.637 Å, rel. 22

Crystal structure
```
CoMoN3
1.0
6.3524 0.0000 0.0000
0.9632 7.7606 0.0000
3.0668 2.3761 7.5147
Co Mo N
4 4 12
Direct
0.1596 0.0419 0.3408
0.1895 0.7466 0.5792
0.8105 0.2534 0.4208
0.8404 0.9581 0.6592
0.3459 0.3105 0.0755
0.4398 0.6251 0.3013
0.5602 0.3749 0.6987
0.6541 0.6895 0.9245
0.0368 0.2538 0.2322
0.1876 0.8160 0.3616
0.3373 0.2360 0.8684
0.3791 0.5263 0.1512
0.4030 0.5936 0.5828
0.4536 0.1232 0.2097
0.5464 0.8768 0.7903
0.5970 0.4064 0.4172
0.6209 0.4737 0.8488
0.6627 0.7640 0.1316
0.8124 0.1840 0.6384
0.9632 0.7462 0.7678
```

# CoMoP2
Simulated XRD peak list, CuKα. Input: a GGA-PBE-relaxed structure.
No peak broadening, texture or thermal motion is included.

Most intense lines, 2θ from 10° to 80°, in order of falling intensity:
- 1.999 Å, rel. 100
- 2.865 Å, rel. 69
- 1.654 Å, rel. 36
- 1.274 Å, rel. 22
- 2.789 Å, rel. 14
- 1.254 Å, rel. 11

Crystal structure
```
CoMoP2
1.0
3.3086 0.0000 0.0000
-1.6543 2.8653 0.0000
0.0000 0.0000 11.1576
Co Mo P
2 2 4
Direct
0.0000 0.0000 0.0000
0.0000 0.0000 0.5000
0.0000 0.0000 0.2500
0.0000 0.0000 0.7500
0.3333 0.6667 0.1088
0.3333 0.6667 0.3912
0.6667 0.3333 0.6088
0.6667 0.3333 0.8912
```

# CoMoP2
Simulated XRD peak list, CuKα. Input: a GGA-PBE-relaxed structure.
No peak broadening, texture or thermal motion is included.

Most intense lines, 2θ from 10° to 80°, in order of falling intensity:
- 2.013 Å, rel. 100
- 2.858 Å, rel. 68
- 1.650 Å, rel. 35
- 1.276 Å, rel. 21
- 2.835 Å, rel. 14
- 2.772 Å, rel. 13

Crystal structure
```
CoMoP2
1.0
3.3004 0.0000 0.0000
-1.6502 2.8583 0.0000
0.0000 0.0000 11.3387
Co Mo P
2 2 4
Direct
0.0000 0.0000 0.2500
-- stop --
A huge percentage of very active users are consumers, not creators. People who like to read, not write; follow, not lead. #isoj
Google considering how to incorporate users, creating a funnel that opens up the mechanism to anyone's participation. #isoj
Why doesn't Google news publish a list of sites it indexes? #isoj
Gingras: Who gets to decide which organization is a news organization? Questioner: You do! (laughter) #isoj
We want to continue to open it up at Google News, but manage for bad actors (e.g. Adsense farms). #isoj
Two powers we have: search and social. Before that, needed extensive marketing to tell your audience who you are. #isoj
In social networks, rely on your audience to curate and filter (my words). #isoj
What is the role of social media? How do you get everyone in the org to take advantage of that? #isoj
How does Google address competition with FB and Twitter? #isoj
Google+ still in its latency. Why bother (given FB)? We're just writing the first chapter re social networking. #isoj
Social networking moving from being about people you know to people you don't know, but maybe you should. #isoj
Gingras says Google may start putting mobile first in some contexts. #isoj
Optimistic and very pleased about Google+ so far. #isoj